Input:
- - -
# Hf5FePt2
Theoretical powder XRD pattern, a wavelength of 1.5418 Å. Input: DFT lattice parameters and positions (GGA-PBE).
Intensities are scaled so that the largest is 1000.

Structure:
```
Hf5FePt2
1.0
7.7348 0.0000 0.0000
0.0000 11.1034 0.0000
0.0000 0.0000 3.6249
Hf Fe Pt
10 2 4
Direct
0.0000 0.0000 0.0000 Hf
0.1511 0.2971 0.0000 Hf
0.1820 0.5761 0.5000 Hf
0.3180 0.0761 0.5000 Hf
0.3489 0.7971 0.0000 Hf
0.5000 0.5000 0.0000 Hf
0.6511 0.2029 0.0000 Hf
0.6820 0.9239 0.5000 Hf
0.8180 0.4239 0.5000 Hf
0.8489 0.7029 0.0000 Hf
0.0000 0.5000 0.0000 Fe
0.5000 0.0000 0.0000 Fe
0.0674 0.8244 0.5000 Pt
0.4326 0.3244 0.5000 Pt
0.5674 0.6756 0.5000 Pt
0.9326 0.1756 0.5000 Pt
```

Largest 8 diffraction maxima, in order of falling intensity, 2θ = 10–80°:
| (hkl) | 2theta | d/Å | Rel. int. |
| --- | --- | --- | --- |
| 2 1 1 | 34.87 | 2.573 | 1000 |
| 1 3 1 | 36.59 | 2.456 | 740 |
| 2 2 1 | 37.67 | 2.388 | 627 |
| 1 4 0 | 34.32 | 2.613 | 552 |
| 0 0 2 | 50.35 | 1.812 | 321 |
| 3 1 0 | 35.75 | 2.511 | 307 |
| 0 4 1 | 40.95 | 2.204 | 238 |
| 1 2 1 | 31.67 | 2.825 | 230 |

* * * * *

Record 1
SmErPd2: computed PXRD pattern (Cu Kα (λ = 1.5418 Å)), based on a DFT-relaxed cell (GGA-PBE, Alexandria).
Kinematic intensities with the Lorentz-polarization factor, no thermal factor.

Structure:
Unit cell a=4.567 b=3.774 c=10.613 alpha=90.00 beta=90.00 gamma=90.00
Space group Amm2 (No. 38)
Unique sites:
Sm1 0.000 0.000 0.000 x2
Er1 0.500 0.000 0.275 x2
Pd1 0.000 0.000 0.726 x2
Pd2 0.500 0.000 0.554 x2

Top 10 peaks for 15° ≤ 2θ ≤ 90°, in order of falling intensity:
hkl 1 1 1, 31.9 deg, intensity 100.0; hkl 1 1 3, 40.1 deg, intensity 63.4; hkl 2 0 0, 39.5 deg, intensity 32.1; hkl 0 0 4, 33.8 deg, intensity 30.9; hkl 0 1 3, 34.8 deg, intensity 21.2; hkl 0 2 0, 48.2 deg, intensity 18.0; hkl 1 0 4, 39.3 deg, intensity 17.4; hkl 2 0 4, 52.9 deg, intensity 17.2; hkl 2 2 0, 64.0 deg, intensity 15.3; hkl 2 1 7, 80.1 deg, intensity 13.1

Record 2
Pm3Ho7Er2: computed PXRD pattern (Cu Kα (λ = 1.5418 Å)), based on a DFT-relaxed cell (GGA-PBE, Alexandria).
Kinematic intensities with the Lorentz-polarization factor, no thermal factor.

Structure:
Unit cell a=5.803 b=3.550 c=18.705 alpha=90.00 beta=93.12 gamma=90.00
Space group P2/m (No. 10)
Unique sites:
Pm1 0.000 0.000 0.000 x1
Pm2 0.277 0.500 0.633 x2
Ho1 0.191 0.500 0.144 x2
Ho2 0.243 0.000 0.463 x2
Ho3 0.306 0.000 0.823 x2
Ho4 0.500 0.500 0.000 x1
Er1 0.212 0.000 0.293 x2

Top 10 peaks for 15° ≤ 2θ ≤ 90°, in order of falling intensity:
hkl 1 1 2, 31.3 deg, intensity 100.0; hkl 2 0 0, 30.8 deg, intensity 57.1; hkl 1 0 -6, 31.9 deg, intensity 48.2; hkl 1 1 -4, 34.9 deg, intensity 39.8; hkl 1 0 6, 33.4 deg, intensity 34.9; hkl 2 0 -1, 31.0 deg, intensity 34.6; hkl 3 0 -6, 54.5 deg, intensity 30.7; hkl 0 1 4, 31.7 deg, intensity 30.0; hkl 0 0 6, 28.7 deg, intensity 27.5; hkl 1 2 -6, 61.9 deg, intensity 24.0

Record 3
Ca5TlPd2: computed PXRD pattern (Cu Kα (λ = 1.5418 Å)), based on a DFT-relaxed cell (GGA-PBE, Alexandria).
Kinematic intensities with the Lorentz-polarization factor, no thermal factor.

Structure:
Unit cell a=7.941 b=7.941 c=14.457 alpha=90.00 beta=90.00 gamma=90.00
Space group I4/mcm (No. 140)
Unique sites:
Ca1 0.000 0.000 0.000 x4
Ca2 0.167 0.333 0.136 x16
Tl1 0.000 0.000 0.250 x4
Pd1 0.127 0.373 0.500 x8

Top 10 peaks for 15° ≤ 2θ ≤ 90°, in order of falling intensity:
hkl 1 1 2, 20.0 deg, intensity 100.0; hkl 2 1 3, 31.3 deg, intensity 71.3; hkl 3 1 0, 35.8 deg, intensity 68.4; hkl 2 0 4, 33.5 deg, intensity 43.3; hkl 3 1 4, 43.9 deg, intensity 38.3; hkl 1 1 6, 40.7 deg, intensity 29.9; hkl 3 1 8, 63.4 deg, intensity 24.3; hkl 2 1 5, 40.2 deg, intensity 22.0; hkl 4 0 2, 47.5 deg, intensity 21.3; hkl 0 0 4, 24.6 deg, intensity 20.2

* * * * *

This entry pairs a crystal structure of TlIn2F8 with its computed PXRD pattern. Radiation: copper Kα. Structure: the GGA-PBE geometry in Alexandria.
Intensities are scaled so that the largest is 100.
- - -
What to do:
Your job: reproduce all of the contents further above word for word.
Done:
# Hf5FePt2
Theoretical powder XRD pattern, a wavelength of 1.5418 Å. Input: DFT lattice parameters and positions (GGA-PBE).
Intensities are scaled so that the largest is 1000.

Structure:
```
Hf5FePt2
1.0
7.7348 0.0000 0.0000
0.0000 11.1034 0.0000
0.0000 0.0000 3.6249
Hf Fe Pt
10 2 4
Direct
0.0000 0.0000 0.0000 Hf
0.1511 0.2971 0.0000 Hf
0.1820 0.5761 0.5000 Hf
0.3180 0.0761 0.5000 Hf
0.3489 0.7971 0.0000 Hf
0.5000 0.5000 0.0000 Hf
0.6511 0.2029 0.0000 Hf
0.6820 0.9239 0.5000 Hf
0.8180 0.4239 0.5000 Hf
0.8489 0.7029 0.0000 Hf
0.0000 0.5000 0.0000 Fe
0.5000 0.0000 0.0000 Fe
0.0674 0.8244 0.5000 Pt
0.4326 0.3244 0.5000 Pt
0.5674 0.6756 0.5000 Pt
0.9326 0.1756 0.5000 Pt
```

Largest 8 diffraction maxima, in order of falling intensity, 2θ = 10–80°:
| (hkl) | 2theta | d/Å | Rel. int. |
| --- | --- | --- | --- |
| 2 1 1 | 34.87 | 2.573 | 1000 |
| 1 3 1 | 36.59 | 2.456 | 740 |
| 2 2 1 | 37.67 | 2.388 | 627 |
| 1 4 0 | 34.32 | 2.613 | 552 |
| 0 0 2 | 50.35 | 1.812 | 321 |
| 3 1 0 | 35.75 | 2.511 | 307 |
| 0 4 1 | 40.95 | 2.204 | 238 |
| 1 2 1 | 31.67 | 2.825 | 230 |

* * * * *

Record 1
SmErPd2: computed PXRD pattern (Cu Kα (λ = 1.5418 Å)), based on a DFT-relaxed cell (GGA-PBE, Alexandria).
Kinematic intensities with the Lorentz-polarization factor, no thermal factor.

Structure:
Unit cell a=4.567 b=3.774 c=10.613 alpha=90.00 beta=90.00 gamma=90.00
Space group Amm2 (No. 38)
Unique sites:
Sm1 0.000 0.000 0.000 x2
Er1 0.500 0.000 0.275 x2
Pd1 0.000 0.000 0.726 x2
Pd2 0.500 0.000 0.554 x2

Top 10 peaks for 15° ≤ 2θ ≤ 90°, in order of falling intensity:
hkl 1 1 1, 31.9 deg, intensity 100.0; hkl 1 1 3, 40.1 deg, intensity 63.4; hkl 2 0 0, 39.5 deg, intensity 32.1; hkl 0 0 4, 33.8 deg, intensity 30.9; hkl 0 1 3, 34.8 deg, intensity 21.2; hkl 0 2 0, 48.2 deg, intensity 18.0; hkl 1 0 4, 39.3 deg, intensity 17.4; hkl 2 0 4, 52.9 deg, intensity 17.2; hkl 2 2 0, 64.0 deg, intensity 15.3; hkl 2 1 7, 80.1 deg, intensity 13.1

Record 2
Pm3Ho7Er2: computed PXRD pattern (Cu Kα (λ = 1.5418 Å)), based on a DFT-relaxed cell (GGA-PBE, Alexandria).
Kinematic intensities with the Lorentz-polarization factor, no thermal factor.

Structure:
Unit cell a=5.803 b=3.550 c=18.705 alpha=90.00 beta=93.12 gamma=90.00
Space group P2/m (No. 10)
Unique sites:
Pm1 0.000 0.000 0.000 x1
Pm2 0.277 0.500 0.633 x2
Ho1 0.191 0.500 0.144 x2
Ho2 0.243 0.000 0.463 x2
Ho3 0.306 0.000 0.823 x2
Ho4 0.500 0.500 0.000 x1
Er1 0.212 0.000 0.293 x2

Top 10 peaks for 15° ≤ 2θ ≤ 90°, in order of falling intensity:
hkl 1 1 2, 31.3 deg, intensity 100.0; hkl 2 0 0, 30.8 deg, intensity 57.1; hkl 1 0 -6, 31.9 deg, intensity 48.2; hkl 1 1 -4, 34.9 deg, intensity 39.8; hkl 1 0 6, 33.4 deg, intensity 34.9; hkl 2 0 -1, 31.0 deg, intensity 34.6; hkl 3 0 -6, 54.5 deg, intensity 30.7; hkl 0 1 4, 31.7 deg, intensity 30.0; hkl 0 0 6, 28.7 deg, intensity 27.5; hkl 1 2 -6, 61.9 deg, intensity 24.0

Record 3
Ca5TlPd2: computed PXRD pattern (Cu Kα (λ = 1.5418 Å)), based on a DFT-relaxed cell (GGA-PBE, Alexandria).
Kinematic intensities with the Lorentz-polarization factor, no thermal factor.

Structure:
Unit cell a=7.941 b=7.941 c=14.457 alpha=90.00 beta=90.00 gamma=90.00
Space group I4/mcm (No. 140)
Unique sites:
Ca1 0.000 0.000 0.000 x4
Ca2 0.167 0.333 0.136 x16
Tl1 0.000 0.000 0.250 x4
Pd1 0.127 0.373 0.500 x8

Top 10 peaks for 15° ≤ 2θ ≤ 90°, in order of falling intensity:
hkl 1 1 2, 20.0 deg, intensity 100.0; hkl 2 1 3, 31.3 deg, intensity 71.3; hkl 3 1 0, 35.8 deg, intensity 68.4; hkl 2 0 4, 33.5 deg, intensity 43.3; hkl 3 1 4, 43.9 deg, intensity 38.3; hkl 1 1 6, 40.7 deg, intensity 29.9; hkl 3 1 8, 63.4 deg, intensity 24.3; hkl 2 1 5, 40.2 deg, intensity 22.0; hkl 4 0 2, 47.5 deg, intensity 21.3; hkl 0 0 4, 24.6 deg, intensity 20.2

* * * * *

This entry pairs a crystal structure of TlIn2F8 with its computed PXRD pattern. Radiation: copper Kα. Structure: the GGA-PBE geometry in Alexandria.
Intensities are scaled so that the largest is 100.